### Source
........
[1]
ORCA calculation (the ωB97M-V functional and the def2-TZVPD basis) on C4H7NO5 in the gas phase.

- HOMO-LUMO gap: 9.819 eV
- HOMO level: -9.483 eV
- E_LUMO: 0.012 hartree
- SMILES: N[C@@H](C(=O)O)[C@@H](O)C(=O)O

ORCA input file:
```
! wB97M-V def2-TZVPD RIJCOSX def2/J DEFGRID3
* xyz 0 1
O 0.67 1.74 -0.78
O -1.85 -0.84 -0.89
O -0.57 0.14 -2.47
O 1.25 -1.19 -0.16
O 1.97 -0.65 1.93
N -1.10 -0.23 1.85
C -0.45 1.03 -0.19
C -0.01 0.45 1.11
C -0.97 0.03 -1.24
C 1.07 -0.55 0.93
H -1.09 -0.48 -3.00
H -1.76 0.40 2.42
H 0.35 0.98 1.87
H 2.52 -1.30 1.79
H -1.18 1.99 0.30
H 0.82 1.40 -1.86
H -1.65 -0.74 0.86
*
```

Atomic partial charges in e from the natural (NBO) method, atoms 1 to 4:
1 O -0.736
2 O -0.629
3 O -0.654
4 O -0.628

=====

[2]
ORCA calculation (the ωB97M-V functional and the def2-TZVPD basis) on a gas-phase ion, C4H7NO5P (charge -1).

- HOMO-LUMO gap: 8.894 eV
- HOMO level: -5.468 eV
- E_LUMO: 0.126 hartree
- SMILES: O=[P@@]1([O-])N[C@@H]2OC[C@@H](O)[C@@H]2O1

ORCA input file:
```
! wB97M-V def2-TZVPD RIJCOSX def2/J DEFGRID3
* xyz -1 1
P 2.70 -0.15 0.19
O 1.73 -1.00 -1.03
O 2.38 -0.87 1.45
O 4.07 -0.05 -0.35
O -0.54 1.20 0.41
O -1.73 -1.49 -0.11
N 1.79 1.39 -0.06
C -0.44 0.05 1.31
C 0.38 -0.65 -0.93
C -0.40 -1.13 0.26
C 0.36 0.90 -0.64
H 0.14 -1.98 0.66
H 0.19 1.67 -1.48
H 2.33 1.76 -0.89
H -0.25 -0.98 -1.77
H -1.29 0.15 1.95
H 0.58 0.05 1.82
H -1.97 -0.71 -0.60
*
```

Atomic partial charges in e from the natural (NBO) method, atoms 1 to 4:
1 P 2.406
2 O -0.794
3 O -1.164
4 O -1.151

=====

[3]
ORCA calculation (the ωB97M-V functional and the def2-TZVPD basis) on 2 unconnected molecules or ions with the total composition C4H7NOS.

- HOMO-LUMO gap: 8.396 eV
- HOMO level: -8.738 eV
- E_LUMO: -0.013 hartree
- SMILES: N#CC=O.CSC

ORCA input file:
```
! wB97M-V def2-TZVPD RIJCOSX def2/J DEFGRID3
* xyz 0 1
S -0.73 0.54 -0.35
O -3.93 -0.14 1.82
N -0.87 -1.44 2.41
C -0.04 -0.56 -1.62
C -3.19 -0.96 1.37
C -1.88 -1.25 1.92
C 0.62 0.89 0.74
H 0.89 0.11 1.35
H 1.42 1.09 0.06
H -0.67 -0.32 -2.39
H 0.46 1.73 1.33
H 0.02 -1.57 -1.39
H 0.98 -0.05 -1.83
H -3.64 -1.63 0.54
*
```

Atomic partial charges in e from the natural (NBO) method, atoms 1 to 4:
1 S 0.171
2 O -0.442
3 N -0.264
4 C -0.710

=====

[4]
ORCA calculation (the ωB97M-V functional and the def2-TZVPD basis) on C4H7NOS in the gas phase.

- HOMO-LUMO gap: 9.613 eV
- HOMO level: -8.939 eV
- E_LUMO: 0.025 hartree
- SMILES: CNC(=O)[C@H]1CS1

ORCA input file:
```
! wB97M-V def2-TZVPD RIJCOSX def2/J DEFGRID3
* xyz 0 1
S -2.06 -0.79 -0.79
O -0.05 1.99 -0.66
N 1.37 0.24 -0.46
C -2.31 0.61 0.34
C 0.18 0.85 -0.21
C -0.94 0.02 0.41
C 1.81 -1.07 -0.07
H -0.62 -0.65 1.22
H 1.98 0.89 -0.96
H 2.83 -1.23 -0.53
H -2.92 0.59 1.28
H 1.09 -1.87 -0.42
H -2.31 1.57 -0.19
H 1.96 -1.14 1.05
*
```

Atomic partial charges in e from the natural (NBO) method, atoms 1 to 4:
1 S 0.127
2 O -0.630
3 N -0.612
4 C -0.484

~~~~~

Entry 1:
{
  "formula": "C5H12NO",
  "method": "ωB97M-V/def2-TZVPD",
  "elements": ["C", "C", "N", "C", "C", "C", "O", "H", "H", "H", "H", "H", "H", "H", "H", "H", "H", "H", "H"],
  "xyz": [[-1.601, -1.207, 1.458], [-1.047, -0.045, 0.586], [-2.142, 0.448, -0.284], [0.234, -0.403, -0.189], [1.085, 0.790, -0.655], [2.549, 0.368, -1.006], [3.089, -0.563, -0.217], [-0.745, -1.336, 2.114], [-2.518, -0.867, 2.112], [-1.792, -1.997, 0.628], [-0.752, 0.791, 1.315], [-2.994, 0.850, 0.091], [-1.761, 0.915, -1.110], [0.991, -0.885, 0.450], [-0.177, -1.096, -1.009], [1.185, 1.359, 0.242], [0.823, 1.524, -1.442], [2.509, 0.004, -2.078], [3.065, 1.350, -1.004]],
........
### Wanted
Filter the material above: keep the lines with the word "eV".
### Response
- HOMO-LUMO gap: 9.819 eV
- HOMO level: -9.483 eV
- HOMO-LUMO gap: 8.894 eV
- HOMO level: -5.468 eV
- HOMO-LUMO gap: 8.396 eV
- HOMO level: -8.738 eV
- HOMO-LUMO gap: 9.613 eV
- HOMO level: -8.939 eV